Call Number (LC) Title Results
HD9930.G73 N628 1997 The warp of Ulster's past / 1
HD9930.G73 S36 1700 A letter from a merchant in Scotland, to his correspondent in London. Relating to the duty upon Scotch-linnen. 1
HD9930 .G732 Proposals by the governour and assistants of the King and Queen's corporation, for encouraging and carrying on the linnen manufacture in England.
A short view of some probable effects of laying a duty on Scotch linnen imported.
HD9930.G74 C67 At a grand committee, or court of assistants of the King and Queen's Corporation for the Linen Manufacture in England held the ninth day of July, 1691, at Salisbury Exchange in the Strand. 2
HD9930.G8 A38 1683 Advertisement this is to give notice, that the Lord Bishop of London and other charitable persons, having raised a stock to set the poor French Protestants at work on a linnen manufacture at Ipswich : there is made by them such cloth both ordinary and extraordinary fine proper for sheeting, shifts, half-shirts, bands, handkercheifs [sic] and other uses ... to be seen and sold at the house of Thomas Papillon Esq. in Fanchurchstreet near Billiter-lane in London .. 1
HD9930.I733 T853 1997 Linen, family, and community in Tullylish, County Down, 1690-1914 / 1
HD9930 .P37 The Particular grieuances of those His Maiesties subiects throughout England and Wales, which lye vnder the oppression of George Woods patent for the sole printing vpon linnen cloth 1
/*
1.
# AlPO4 PBE-GGA optimized geometry
# ΔE_f: -3.108 eV per atom
# Uncorrected energy: -7.4755 eV per atom
data_AlPO4
_cell_length_a 11.0212
_cell_length_b 4.9472
_cell_length_c 8.8891
_cell_angle_alpha 90.00
_cell_angle_beta 90.17
_cell_angle_gamma 90.00
_space_group_name_H-M_alt 'P 1 2/c 1'
_space_group_IT_number 13
loop_
_space_group_symop_operation_xyz
'x,y,z'
'-x,-y,-z'
'-x,y,-z+1/2'
'x,-y,z+1/2'
loop_
_atom_site_label
_atom_site_fract_x
_atom_site_fract_y
_atom_site_fract_z
_atom_site_occupancy
Al1 0.0000 0.0349 0.2500 1
Al2 0.3340 0.2501 0.9869 1
P1 0.1668 0.2550 0.5132 1
P2 0.5000 0.4672 0.2500 1
O1 0.0723 0.2334 0.3862 1
O2 0.1112 0.1657 0.6636 1
O3 0.2058 0.4479 0.0278 1
O4 0.2803 0.0834 0.4762 1
O5 0.4003 0.3507 0.8169 1
O6 0.4442 0.2836 0.1284 1

2.
# PPd4 PBE-GGA optimized geometry
# ΔE_f: -0.386 eV per atom
# Uncorrected energy: -5.6122 eV per atom
data_PPd4
_cell_length_a 5.2061
_cell_length_b 7.6567
_cell_length_c 5.7501
_cell_angle_alpha 90.00
_cell_angle_beta 90.30
_cell_angle_gamma 90.00
_space_group_name_H-M_alt 'P 1 m 1'
_space_group_IT_number 6
loop_
_space_group_symop_operation_xyz
'x,y,z'
'x,-y,z'
loop_
_atom_site_label
_atom_site_fract_x
_atom_site_fract_y
_atom_site_fract_z
_atom_site_occupancy
P1 0.0000 0.0000 0.0000 1
P2 0.0913 0.5000 0.2342 1
P3 0.5897 0.0000 0.5052 1
Pd1 0.1727 0.0000 0.6323 1
Pd2 0.2169 0.3139 0.9323 1
Pd3 0.3766 0.3149 0.4402 1
Pd4 0.4179 0.0000 0.1317 1
Pd5 0.6752 0.5000 0.0814 1
Pd6 0.7158 0.1933 0.7973 1
Pd7 0.8733 0.1903 0.2949 1
Pd8 0.9002 0.5000 0.5949 1

3.
# Mg6ZnB PBE-GGA optimized geometry
# Energy above the lowest structure with this stoichiometry: 37 meV per atom
# ΔE_f: 0.225 eV per atom
# Magnetization: 0.000 μB per atom
# Uncorrected energy: -1.9680 eV per atom
data_Mg6ZnB
_cell_length_a 4.1461
_cell_length_b 8.3861
_cell_length_c 8.9343
_cell_angle_alpha 90.00
_cell_angle_beta 90.00
_cell_angle_gamma 90.00
_space_group_name_H-M_alt 'A m m 2'
_space_group_IT_number 38
loop_
_space_group_symop_operation_xyz
'x,y,z'
'-x,-y,z'
'-x,y,z'
'x,-y,z'
'x,y+1/2,z+1/2'
'-x,-y+1/2,z+1/2'
'-x,y+1/2,z+1/2'
'x,-y+1/2,z+1/2'
loop_
_atom_site_label
_atom_site_fract_x
_atom_site_fract_y
_atom_site_fract_z
_atom_site_occupancy
Mg1 0.0000 0.0000 0.0000 1
Mg2 0.0000 0.0000 0.3977 1
Mg3 0.0000 0.1757 0.6853 1
Mg4 0.5000 0.2470 0.9434 1
Zn1 0.5000 0.0000 0.1939 1
B1 0.5000 0.0000 0.5671 1

4.
# LiNbF5 PBE-GGA optimized geometry
# ΔE_f: -3.201 eV per atom
# Magnetization: 0.143 μB per atom
# Uncorrected energy: -5.9539 eV per atom
data_LiNbF5
_cell_length_a 9.8875
_cell_length_b 15.4101
_cell_length_c 5.2802
_cell_angle_alpha 90.00
_cell_angle_beta 100.40
_cell_angle_gamma 90.00
_space_group_name_H-M_alt 'C 1 2/m 1'
_space_group_IT_number 12
loop_
_space_group_symop_operation_xyz
'x,y,z'
'-x,-y,-z'
'-x,y,-z'
'x,-y,z'
'x+1/2,y+1/2,z'
'-x+1/2,-y+1/2,-z'
'-x+1/2,y+1/2,-z'
'x+1/2,-y+1/2,z'
loop_
_atom_site_label
_atom_site_fract_x
_atom_site_fract_y
_atom_site_fract_z
_atom_site_occupancy
*/
[The materials data stop here]
HD9930.S36 D6 1700 Overture regulating the breadth and length of linnen. To His Grace James Duke of Queensberry Marquis of Dumfries-Shire, Earl of Drumlanrick, and Sancher, &c. His Majesty's High Commissioner to the Parliament of Scotland, and most honourable Estates of Parliament. 1
HD9930 .S362 The case of the convention of the Royal Boroughs in Scotland, in relation to the linnen-manufactory of that country.
The true case of the Scots linnen manufacture, humbly offer'd to the consideration of the Honorable House of Commons.
The answer of the Scots linnen manufacturers to the report of the Lords Commissioners of trade and plantations; and to a paper falsly call'd, The case of the printing of linnen in Great-Britain, &c. ; humbly submitted to the consideraion of the honorable House of Commons.
HD9933.G7 V37 A history of the Midland Counties Lace Manufacturers' Association, 1915-1958 / 1
HD9933 .G732 Reasons humbly offered for passing the bill for rendring the laws more effectual for prohibiting foreign bone-lace, &c.
Reasons humbly offered for passing an act, more strictly to prohibit the importation of foreign bone-lace, &c.
HD9933.I43 W48 1982 The lace makers of Narsapur : Indian housewives produce for the world market / 1
HD9935 .E54 1697 May it please your Lordship We the embroiderers, drawers and others concerned in the further improvement of East-India Silks and other goods after their importation, humbly crave leave to represent to your Lordship, that our council informs us, that the bill now before the most noble House of Peers for restraining the wearing those goods in England, subjects all noble personages as well as commoners to an indictment for wearing therof after the first of May 1697 .. 1
HD9935.I72 B6 The Irish flowerers. 1
HD9935.S8 G4 Lage und Entwicklung der schweizerischen Stickereiindustrie unter besonderer Berücksichtigung der Einflüsse der europäischen Wirtschaftsintegration. 1
HD9936.5.A2 A history of the paper pattern industry : the home dressmaking fashion revolution / 1
HD9937.A2 The 2002 world market forecasts for imported knotted carpets, carpeting, and rugs / 1
HD9937.I712 H45 1993 Ties that bind : a social history of the Iranian carpet / 1
HD9937.I712 H45 1994 Ties that bind : a social history of the Iranian carpet / 1
HD9937.U5 C35 Directory and report / 1